The pupils at Ocklynge are encouraged to be creative and imaginative in their learning in all curriculum areas.
They are expected to think, explore and discuss and to deepen their thinking. Our RE and PSHE curriculum provides opportunities for pupils to develop knowledge and insight into beliefs and values and to develop the ability to reflect on their own values.
There are also opportunities for reflecting upon fundamental issues such as good and evil, the origins of the universe and death and to explore values such as honesty, justice and truth.
During their time at Ocklynge, pupils are encouraged to reflect upon important beliefs and practices from various religions and to develop their own ideas and views on religious and spiritual issues.
**Unrelated to this entry: materials data**
For Li9Mn2Co5O16, a DFT-relaxed cell (PBE+U, the Materials Project) gives the calculated powder X-ray diffraction pattern in this record (CuKα).
Kinematic intensities with the Lorentz-polarization factor, no thermal factor.

Peak list (6 most intense, 2θ from 5° to 70°, low angle first)
two_theta  d [Å]  Rel. int.
18.13  4.892  100
35.97  2.496  38
43.33  2.088  55
43.55  2.078  26
62.61  1.484  14
63.61  1.463  21

Cell and atoms:
Cell: 9.9395 2.9258 10.1320 Å, 90.00 100.15 90.00°
Space group P2/m (No. 10)
Symmetry-distinct sites (fractional):
Li1 0.0000 0.0000 0.0000 x1
Li2 0.2255 0.5000 0.1183 x2
Li3 0.2429 0.0000 0.8748 x2
Li4 0.2463 0.5000 0.6231 x2
Li5 0.2466 0.0000 0.3689 x2
Mn1 0.0000 0.0000 0.5000 x1
Mn2 0.5000 0.5000 0.0000 x1
Co1 0.0067 0.5000 0.7693 x2
Co2 0.4984 0.0000 0.2562 x2
Co3 0.5000 0.5000 0.5000 x1
O1 0.1076 0.5000 0.4433 x2
O2 0.1101 0.0000 0.6776 x2
O3 0.1160 0.0000 0.1947 x2
O4 0.1245 0.5000 0.9265 x2
O5 0.3812 0.0000 0.5630 x2
O6 0.3843 0.5000 0.3123 x2
O7 0.3905 0.0000 0.0542 x2
O8 0.3940 0.5000 0.8194 x2

----------

1.
Diffraction record for TmCu3Pd4. The powder XRD pattern is computed, not measured: it uses a crystal structure in Alexandria, relaxed with GGA-PBE and Cu Kα (weighted mean of Kα1 and Kα2).
No peak broadening, texture or thermal motion is included.

Cell and atoms:
```
TmCu3Pd4
1.0
4.1722 0.0000 0.0000
0.0000 4.1722 0.0000
0.0000 0.0000 6.9934
Tm Cu Pd
1 3 4
direct
0.0000 0.0000 0.0000
0.0000 0.0000 0.5000
0.5000 0.5000 0.0000
0.5000 0.5000 0.5000
0.0000 0.5000 0.2689
0.0000 0.5000 0.7311
0.5000 0.0000 0.2689
0.5000 0.0000 0.7311
```

Largest 10 diffraction maxima, most intense first, 2θ from 5° to 70°:
2θ/deg	intensity
39.98	100
43.38	41
63.02	13
52.33	10
32.95	6
24.85	5
21.30	4
59.46	3
38.62	3
33.44	2

2.
Diffraction record for Tb2Nd7Th2. The powder XRD pattern is computed, not measured: it uses a crystal structure in Alexandria, relaxed with GGA-PBE and Cu Kα (weighted mean of Kα1 and Kα2).
No peak broadening, texture or thermal motion is included.

Cell and atoms:
```
Tb2Nd7Th2
1.0
5.6901 -5.8122 0.0000
5.6901 5.8122 0.0000
-2.3463 0.0000 5.7313
Tb Nd Th
2 7 2
direct
0.2232 0.7768 0.0000
0.7768 0.2232 0.0000
0.0000 0.0000 0.5000
0.0624 0.5857 0.3300
0.2344 0.2344 0.0869
0.4143 0.9376 0.6700
0.5857 0.0624 0.3300
0.7656 0.7656 0.9131
0.9376 0.4143 0.6700
0.4238 0.4238 0.6970
0.5762 0.5762 0.3030
```

Largest 10 diffraction maxima, most intense first, 2θ from 5° to 70°:
2θ/deg	intensity
31.14	100
30.77	51
33.19	44
30.05	32
31.57	30
33.60	27
25.40	26
44.66	20
54.94	16
49.12	14
**End of the materials data**
It is important for pupils to recognise the difference between right and wrong and to understand the consequences of their behaviour and actions.
At Ocklynge we follow the Golden rules (see below) and these are displayed around the school building and form the basis of some assemblies.
All members of the school community are expected to keep these rules and pupils who break them are encouraged to reflect on their behaviour and the consequences of their actions.
Records of crystals that have nothing to do with the text:
........
# 1
Simulated X-ray diffraction stick pattern
Compound: CsNaCuI4
Radiation: Cu Kα
Structure: a cell relaxed with GGA-PBE
Kinematic intensities with the Lorentz-polarization factor, no thermal factor.

Crystal structure
```
CsNaCuI4
1.0
8.265 0.000 0.000
0.000 7.037 0.000
-2.909 0.000 10.048
Cs Na Cu I
2 2 2 8
direct
0.235 0.250 0.440 Cs
0.765 0.750 0.560 Cs
0.201 0.250 0.937 Na
0.799 0.750 0.063 Na
0.266 0.750 0.168 Cu
0.734 0.250 0.832 Cu
0.083 0.750 0.340 I
0.087 0.750 0.921 I
0.500 0.006 0.216 I
0.500 0.494 0.216 I
0.500 0.506 0.784 I
0.500 0.994 0.784 I
0.913 0.250 0.079 I
0.917 0.250 0.660 I
```

Peak list (10 most intense, 2θ from 15° to 90°, by intensity)
27.73°, I 100
24.41°, I 84
23.44°, I 58
26.68°, I 52
31.28°, I 40
25.81°, I 39
20.43°, I 37
31.03°, I 33
34.32°, I 32
27.55°, I 31

---

# 2
Simulated X-ray diffraction stick pattern
Compound: Cs2CuIO6
Radiation: Cu Kα
Structure: a cell relaxed with GGA-PBE
Kinematic intensities with the Lorentz-polarization factor, no thermal factor.

Crystal structure
```
Cs2CuIO6
1.0
6.547 0.000 0.000
-3.273 5.669 0.000
0.000 0.000 5.280
Cs Cu I O
2 1 1 6
direct
0.333 0.667 0.277 Cs
0.667 0.333 0.723 Cs
0.000 0.000 0.500 Cu
0.000 0.000 0.000 I
0.131 0.263 0.772 O
0.131 0.869 0.772 O
0.263 0.131 0.228 O
0.737 0.869 0.772 O
0.869 0.131 0.228 O
0.869 0.737 0.228 O
```

Peak list (10 most intense, 2θ from 15° to 90°, by intensity)
27.24°, I 100
23.02°, I 79
35.96°, I 46
37.58°, I 37
55.21°, I 35
47.03°, I 29
15.63°, I 26
45.69°, I 19
48.15°, I 19
56.20°, I 17

---

# 3
Simulated X-ray diffraction stick pattern
Compound: Cs2CuPdI6
Radiation: Cu Kα
Structure: a cell relaxed with GGA-PBE
Kinematic intensities with the Lorentz-polarization factor, no thermal factor.

Crystal structure
```
Cs2CuPdI6
1.0
-4.107 4.107 5.611
4.107 -4.107 5.611
4.107 4.107 -5.611
Cs Cu Pd I
2 1 1 6
direct
0.250 0.750 0.500 Cs
0.750 0.250 0.500 Cs
0.000 0.000 0.000 Cu
0.500 0.500 0.000 Pd
0.232 0.232 0.000 I
0.263 0.263 0.526 I
0.263 0.737 0.000 I
0.737 0.263 0.000 I
0.737 0.737 0.474 I
0.768 0.768 0.000 I
```

Peak list (10 most intense, 2θ from 15° to 90°, by intensity)
26.90°, I 100
30.79°, I 72
44.92°, I 48
31.90°, I 32
52.42°, I 29
44.10°, I 26
55.45°, I 25
81.70°, I 15
53.86°, I 13
72.06°, I 12

---

# 4
Simulated X-ray diffraction stick pattern
Compound: CsRbCu3I6
Radiation: Cu Kα
Structure: a cell relaxed with GGA-PBE
Kinematic intensities with the Lorentz-polarization factor, no thermal factor.

Crystal structure
```
CsRbCu3I6
1.0
4.830 2.789 5.827
-4.830 2.789 5.827
0.000 -5.577 5.827
Cs Rb Cu I
1 1 3 6
direct
0.000 0.000 0.000 Cs
0.543 0.543 0.543 Rb
0.079 0.279 0.399 Cu
0.279 0.399 0.079 Cu
0.399 0.079 0.279 Cu
0.018 0.448 0.635 I
0.135 0.940 0.469 I
0.448 0.635 0.018 I
0.469 0.135 0.940 I
0.635 0.018 0.448 I
0.940 0.469 0.135 I
```

Peak list (10 most intense, 2θ from 15° to 90°, by intensity)
23.93°, I 100
23.58°, I 73
29.56°, I 37
28.69°, I 33
46.98°, I 32
39.16°, I 29
48.56°, I 23
30.05°, I 21
32.10°, I 18
........
Regular use of circle time to address issues enables the pupils to offer reasoned views about moral issues and to understand and appreciate the viewpoints of others.
Pupils at Ocklynge are expected to learn the benefits and responsibilities of belonging to a community.
They are encouraged to develop a sense of identity and belonging. We have a well- run and effective school council who contribute to the development of the school.
There is a system for feeding ideas up to the council and back to classes through the class councils. Membership also includes an annual visit to the Houses of Parliament with the local MP.
Pupils are involved in a range of charity fundraising events. In Year 6, the pupils research, present and vote for a charity to support for Term 1 and 2.
********
1.
Calculated powder diffraction line list of Li4ZnGa2Ir for Cu Kα (weighted mean of Kα1 and Kα2), from a cell relaxed with PBE.
Peak positions follow from Bragg's law for the DFT cell and can differ from measured ones.

```
data_Li4ZnGa2Ir
_chemical_formula_sum 'Li4 Zn1 Ga2 Ir1'
_cell_length_a 4.285
_cell_length_b 4.285
_cell_length_c 6.083
_cell_angle_alpha 90.00
_cell_angle_beta 90.00
_cell_angle_gamma 90.00
_space_group_name_H-M_alt 'P -4 m 2'
_space_group_IT_number 115
loop_
_space_group_symop_operation_xyz
'x,y,z'
'y,-x,-z'
'-x,-y,z'
'-y,x,-z'
'-x,y,z'
'-y,-x,-z'
'x,-y,z'
'y,x,-z'
loop_
_atom_site_label
_atom_site_fract_x
_atom_site_fract_y
_atom_site_fract_z
Li1 0.000 0.000 0.000
Li2 0.000 0.500 0.749
Li3 0.500 0.500 0.500
Zn1 0.500 0.500 0.000
Ga1 0.000 0.500 0.270
Ir1 0.000 0.000 0.500
```

Principal peaks in the range 5 to 70 degrees two-theta, in order of falling intensity:
h k l	d [Å]	2θ (°)	I (rel.)
1 0 1	3.503	25.43	100
2 0 0	2.145	42.13	88
2 1 1	1.828	49.90	32
0 0 1	6.083	14.56	20
1 0 3	1.833	49.75	16
1 0 0	4.285	20.73	14
2 1 3	1.393	67.22	13
2 2 0	1.515	61.18	10
1 0 2	2.480	36.22	7
3 0 1	1.390	67.35	6
1 1 1	2.712	33.03	6
1 1 0	3.030	29.48	5

2.
Calculated powder diffraction line list of Li2ZrZnGa2Ir2 for Cu Kα (weighted mean of Kα1 and Kα2), from a cell relaxed with PBE.
Peak positions follow from Bragg's law for the DFT cell and can differ from measured ones.

```
data_Li2ZrZnGa2Ir2
_chemical_formula_sum 'Li2 Zr1 Zn1 Ga2 Ir2'
_cell_length_a 4.376
_cell_length_b 4.376
_cell_length_c 6.230
_cell_angle_alpha 90.00
_cell_angle_beta 90.00
_cell_angle_gamma 90.00
_space_group_name_H-M_alt 'P -4 m 2'
_space_group_IT_number 115
loop_
_space_group_symop_operation_xyz
'x,y,z'
'y,-x,-z'
'-x,-y,z'
'-y,x,-z'
'-x,y,z'
'-y,-x,-z'
'x,-y,z'
'y,x,-z'
loop_
_atom_site_label
_atom_site_fract_x
_atom_site_fract_y
_atom_site_fract_z
Li1 0.000 0.500 0.217
Zr1 0.500 0.500 0.500
Zn1 0.000 0.000 0.000
Ga1 0.000 0.000 0.500
Ga2 0.500 0.500 0.000
Ir1 0.000 0.500 0.754
```

Principal peaks in the range 5 to 70 degrees two-theta, in order of falling intensity:
h k l	d [Å]	2θ (°)	I (rel.)
1 0 1	3.581	24.87	100
1 1 2	2.195	41.12	97
2 0 0	2.188	41.27	48
2 1 1	1.867	48.78	33
1 0 3	1.876	48.53	17
2 2 0	1.547	59.78	16
2 1 3	1.424	65.55	14
0 0 4	1.557	59.34	8
3 0 1	1.420	65.76	7
1 1 0	3.094	28.86	1
2 0 2	1.790	51.01	1
0 0 2	3.115	28.66	1

3.
Calculated powder diffraction line list of PrLuGa4Ir2 for Cu Kα (weighted mean of Kα1 and Kα2), from a cell relaxed with PBE.
Peak positions follow from Bragg's law for the DFT cell and can differ from measured ones.

```
data_PrLuGa4Ir2
_chemical_formula_sum 'Pr1 Lu1 Ga4 Ir2'
_cell_length_a 4.229
_cell_length_b 7.119
_cell_length_c 5.515
_cell_angle_alpha 90.00
_cell_angle_beta 112.33
_cell_angle_gamma 90.00
_space_group_name_H-M_alt 'P 1 m 1'
_space_group_IT_number 6
loop_
_space_group_symop_operation_xyz
'x,y,z'
********
There are many opportunities for pupils to be involved in community projects such as singing with the choir in nursing homes, participating in the Junior Neighbourhood Watch scheme, organising charity fundraising events and dancing at a Remembrance Day event.
British Values are promoted across the curriculum.
Ocklynge School has a large number of pupils from differing backgrounds, cultures, races and religions. One of our school aims is;
“To instill respect and understanding for religious and moral values and tolerance of races, religions and ways of life.”
We promote diversity through our links with schools in other countries. We also invite a range of visitors, from different backgrounds, who take assemblies on various themes throughout the year.
We encourage pupils from different faiths and cultural backgrounds to share their knowledge and thus enhance learning and understanding.
There are many opportunities for pupils to participate in a number of artistic, sporting and cultural activities, from representing the school in various sports to performing to parents in end of term shows.
Every year group has a number of trips connected to their curriculum and has a visit from a theatre company to enhance their learning.